Tuesday, November 13, 2012

"Sister Weekend"

Ten years after our last “sister weekend” my sister and I were finally able to escape life and have a weekend together on Gabriola to celebrate my 50th. It was a good time which I must say made even better by the fact that I was able to win every game of cards except the very last one. Luck was certainly on my side. My sister gave me beautiful “sister” rings for a gift which I truly love and will treasure. Our birthstones side by side, well I shall wear hers a little above mine but only out of respect as she is the oldest.

Our birthstones
We spent the weekend just being together, hiking the trails, checking out the beaches, sometimes in sunshine and sometimes in wind and rain storms. We went to some of my favourite places and others that I had never been to before and we were awed by nature's beauty.

A new view from my favourite park in the sunshine

 Mostly though we hung out at my friends’ cabin and stayed warm with a nice fire in the woodstove. Meals were simple, chatter constant and laughter often. We slept side by side just like in the old days when we would be out camping except this time there was only laughter and no arguing what so ever. Now we just tease each other and thankfully laugh. It is amazing how the years have changed us in many different ways and yet who we are inside remains the same. The things I did that annoyed her years ago, still do and the things I purposely do to annoy her remain the same. It is one of the many joys that come with knowing someone for a lifetime. She knows to let me always lead the way down the trails, it is futile for her to even try and even get in front really. I know to let her have at least 10 minutes at each new "find" to get the right photo although I can’t say I have become any more patient in waiting over the years.
Getting the "perfect" shot in amongst the wind and rain
Of course there are always new things to learn about each other, new things that make us laugh and new fears that we face. Our life styles are different in some ways, we are at different places in our lives and yet as we grow older together we have an understanding of each other that goes back to our birth. Well I guess my birth because as I said .... she is older.

My sister and friend, Dar
Thank you for being a wonderful sister and for a great weekend Dar, we'll do it again soon ... I love you.



Sunday, November 4, 2012

Birthday Blessings

Today I turned 50! It has been an amazing weekend with family and friends. There has been so much celebration but among it,  time for reflection. Over these past few years I have often been surprised and shocked at the love and care I receive from my many friends and this weekend was no exception.

Growing up I had many friends in my younger years. I have to confess that up to about age 10 I was the “leader of the pack”. As I aged though, my self confidence lessened and along with it the number of my friends. I kept more and more to myself, was afraid to speak to people so that by the time I graduated my only close friend was my boyfriend and I stuck to him like glue. As I entered married life and had children of my own I slowly began to make new friends, some of my children’s friends’ parents and others at the church I joined. I slowly began to lose my shyness and gain some self confidence. I remember how shocked I was ten years ago when I walked into a surprise 40th birthday party they had for me and I saw all these women from different areas of my life, all together with me to celebrate my special day.

This last decade has been a time of much change in my life and through it all I have gained even more friends and they have supported me in so many ways. Always I end up asking myself, why?  I can’t even begin to tell you all the things people have done for me and all the wonderful gifts and acts of kindness I have received over the years. What have I ever done to deserve such kindness and love. I honestly never can come up with an answer.

As I look at all my lovely birthday cards from folks, the words on them are so beautiful.

“There are so few people in the world like you; you deserve to know how special you are”

“Our friendship was meant to be, I can’t imagine not having you in my life”

== Someone pasted crystal structures at this point ==
********
one:
# In2Si2O7

A relaxed structure of In2Si2O7 (GGA-PBE, the Materials Project database).

Summary:
Magnetic moment (Bohr magnetons per cell): 0.00

Cell: 9.5469 9.5469 9.5469 Å, 90.00 90.00 90.00°
Closest atoms and distances in Å follow each position.
Space group Fd-3m (No. 227, origin choice 2)
Inequivalent atoms, fractional coordinates:
1 In 0.0000 0.0000 0.0000 x16  2 O 2.07
2 Si 0.0000 0.0000 0.5000 x16  6 O 1.82
3 O 0.0711 0.3750 0.8750 x48  2 Si 1.82
4 O 0.1250 0.1250 0.1250 x8  4 In 2.07

=====

two:
# In2Si2O7

A relaxed structure of In2Si2O7 (GGA-PBE, the Materials Project database).

Cell: 6.7202 8.7558 4.7637 Å, 90.00 102.88 90.00°
Closest atoms and distances in Å follow each position.
Space group C2/m (No. 12)
Inequivalent atoms, fractional coordinates:
1 In 0.0000 0.1917 0.0000 x4  6 O 2.15-2.28
2 Si 0.2192 0.5000 0.4092 x4  4 O 1.63-1.65
3 O 0.0000 0.5000 0.5000 x2  2 Si 1.63
4 O 0.1103 0.0000 0.2841 x4  1 Si 1.64
5 O 0.2339 0.3446 0.2182 x8  1 Si 1.65

=====

Ranked by calculated energy, most stable first: two, one.

=====

one:
# TaIn3O7

A relaxed structure of TaIn3O7 (GGA-PBE, the Materials Project database).

Summary:
Magnetic moment (Bohr magnetons per cell): 0.00

Cell: 6.2926 6.3136 7.4922 Å, 73.14 89.77 81.87°
Closest atoms and distances in Å follow each position.
Space group P-1 (No. 2)
Inequivalent atoms, fractional coordinates:
1 Ta 0.0000 0.0000 0.0000 x1  6 O 1.96-2.00
2 Ta 0.0000 0.0000 0.5000 x1  6 O 1.94-2.13
3 In 0.2625 0.4571 0.3874 x2  4 O 2.14-2.33
4 In 0.2662 0.4684 0.8832 x2  6 O 2.19-2.32
5 In 0.4705 0.9934 0.2469 x2  4 O 2.08-2.21
6 O 0.0674 0.6452 0.6125 x2  1 Ta 2.13, 2 In 2.26-2.29
7 O 0.0809 0.9532 0.2629 x2  2 Ta 1.94-1.96
8 O 0.0951 0.6719 0.0453 x2  1 Ta 2.00, 1 In 2.19
9 O 0.2917 0.0830 0.9492 x2  1 Ta 1.98, 1 In 2.20
10 O 0.2932 0.0580 0.5211 x2  1 Ta 1.95
11 O 0.4441 0.3406 0.1660 x2  4 In 2.08-2.30
12 O 0.4735 0.3557 0.6617 x2  4 In 2.09-2.33

=====

two:
# TaIn3O7

A relaxed structure of TaIn3O7 (GGA-PBE, the Materials Project database).

Summary:
Magnetic moment (Bohr magnetons per cell): 0.00
Largest piezoelectric modulus (C/m2): 0.3

Cell: 7.5162 10.4361 7.3165 Å, 90.00 90.00 90.00°
Closest atoms and distances in Å follow each position.
Space group C222_1 (No. 20)
Inequivalent atoms, fractional coordinates:
1 Ta 0.0096 0.0000 0.0000 x4  6 O 1.92-2.09
2 In 0.0449 0.5000 0.0000 x4  6 O 2.29-2.38
3 In 0.2399 0.2388 0.2441 x8  6 O 2.17-2.35
4 O 0.0000 0.0560 0.2500 x4  2 Ta 1.92
5 O 0.0000 0.3575 0.2500 x4  4 In 2.19-2.38
6 O 0.0000 0.3725 0.7500 x4  4 In 2.27-2.29
7 O 0.1828 0.1349 0.9667 x8  1 Ta 1.93
8 O 0.2058 0.1255 0.5193 x8  1 Ta 2.09, 2 In 2.21-2.29

=====

Ranked by calculated energy, most stable first: one, two.

=====

one:
# Ta3InO9

A relaxed structure of Ta3InO9 (GGA-PBE, the Materials Project database).

Summary:
Magnetic moment (Bohr magnetons per cell): 0.00

Cell: 6.3994 7.6401 12.7166 Å, 90.00 90.00 90.00°
Closest atoms and distances in Å follow each position.
********

I ask myself again what have I done to deserve all this? However, tonight as I sat singing during a Taize service I realized something. It doesn’t matter that I have no answers to the why...I will probably never understand it. What I do realize is that I just need to open my heart and accept it. The understanding isn’t necessary. I just have to let the love and care in and be grateful that I am so very blessed in this life to be surrounded by such wonderful people. Life is full of mysteries and sometimes not having the answers is okay.

So the forties are gone, the fifties have arrived. I can honestly say that I don’t think I have ever felt more at peace with who I am and what I am doing in my life than I do tonight. I have everything I could ever want and more. I am full of energy and plan to make this next decade the best. I hope to make a difference to others in this world, one small step at a time. I have no idea how I will do that, but I am hopeful that I can make a difference to someone else even if it is just one person. I hope that whatever it is that I have done to deserve such a wonderful life complete with caring friends and family, that I will do it again a hundred times more in the years ahead. It’s time to pass it forward.

Thank you all, and thank you God for all of my life’s blessings.
So as another card I received today says,
“From tears and laughter with no room for regrets...and a smile that says    “You ain’t seen nothing yet!””

"A one night stand" along with "sex in a pan"
Yes I do say...the fifties are gonna be grand!